From: Michael Surbrook 
Subject: CHAR: Ti Malice
Ti Malice

Designers Notes:
Ti Malice is one of the more... horrific creations of the Wildcards universe. Born in Haiti in the early 50s, Ti Malice is a mere 2' 6" tall and weighs only about 30lbs. He (it?) has no chin, a single tooth, pale, white skin, large black eyes and no hair. He can't speak, can't eat and can only survive by feed upon someone else's blood. This feeding uses his host's blood to supply oxygen and nutrients, but doesn't kill them. While feeding, Ti Malice can contact his host telepathically, as well as control their actions. He speaks (and acts) via his mounts. While feeding, he secretes a highly addictive substance that stimulates the brain's pleasure center. One 'kiss' from Ti Malice and your his forever.

Note: Ti Mailice's telepathy powers are bought with the 'No Range' limitation. Depending upon GM's choice, a further limitation (such as must touch subject) could be added. Also note that Ti Malice's mounts should be expressed as followers, and can range from normal humans to powerful aces.

The Character:

Str		0		-10
Dex		6		-12
Con		7		-6
Body		7		-6
Int		26		16
Ego		30		40
Pre		10		0
Com		2		-4
PD		1		1
ED		1		0
Spd		1		0
Rec		2		2
End		14		0
Stun		11		0
Char Total			21
Power Total			159
Total Cost			201

13	Shrinking: 1 Level, 0 END, Persistent, Always On
	2'6", 30 lbs, +2 DCV, -2 PER, +3" KB
-12	Running: 0"

30	EC: Telepathy, No Range (-1/2)
75	18d6 Mind Control, Telepathic, 0 END
30	12d6 Telepathy, 0 END

21	Transformation Attack: 1d6 Major, Cumulative, Penetrating, 0 END,
	Works vs Ego Defense instead of Power Defense (-1/4), No Range,
	Linked to Mind Control - Turns target into willing slave (ie
	'mount') of Ti Malice

10	Eidetic Memory
10	Wealth
3	Contact: Assorted Mounts 12-

100	Base
20	DF: Stunted, skeletally thin humanoid.  He lacks a chin, teeth,
	hair, has fish-belly white skin, no genitalia and large
	protuberent black eyes.
15	Dependence: Fresh human blood, per minute, 1d6
20	Phys: Crippled Legs (Effective Running of 0")
15	Psych: Addicted to sensations of *all* kinds
15	Psych: Meglomaniac, desires to have as many 'mounts' as possible.
15	Psych: Sadist, enjoys new sensations, regardless of what they are.
1	Experience

**Misplaced data records**
'''
Record 1
Molecular formula: CH5O2PS
Method: DFT, ωB97M-V/def2-TZVPD

Values from the calculation:
HOMO level	-9.5	eV
SMILES string	OC(O)(P)S
HOMO-LUMO gap	10.016	eV
E_tot	-931.04207	Eh

Geometry as ORCA input:
```
! RIJCOSX wB97M-V def2-TZVPD def2/J DEFGRID3
* xyz 0 1
O 0.6618 -1.1820 -0.6744
C 0.0609 -0.2114 0.1927
O -0.8985 -0.8677 0.9634
P -1.0292 0.8839 -0.8236
S 1.3139 0.6276 1.3177
H 0.6371 -2.0109 -0.1428
H -1.0442 -1.6516 0.5351
H -0.1875 0.5156 -1.8242
H -0.4742 2.0457 -0.6564
H 0.9599 1.8507 1.1125
*
```


Record 2
Molecular formula: CH4O2
Method: DFT, ωB97M-V/def2-TZVPD

Values from the calculation:
HOMO level	-9.7	eV
SMILES string	C=O.O
HOMO-LUMO gap	10.241	eV
E_tot	-190.92842	Eh

Geometry as ORCA input:
```
'''

(Ti Malice created by John J Miller, character sheet created by Michael

**Molecular data, as found in the file:**
-- begin --
(1)
{"formula": "C5H3NO", "method": "ωB97M-V/def2-TZVPD", "lumo_energy_ev": 0.19, "homo_energy_ev": -9.96, "smiles": "N#CC=C=O.C#C", "de_lowest_kj_mol": 246.36, "charge": 0, "energy_ha": -322.19796, "orbital_gap_ev": 10.15, "elements": ["N", "C", "C", "C", "O", "C", "C", "H", "H", "H"], "xyz": [[2.450, -0.921, -0.132], [1.831, 0.048, 0.023], [1.141, 1.277, 0.206], [-0.123, 1.404, 0.581], [-1.214, 1.627, 0.892], [-1.942, -1.112, -0.360], [-0.874, -1.656, -0.467], [1.620, 2.245, 0.123], [-2.929, -0.713, -0.289], [0.040, -2.198, -0.578]]}

(2)
{"formula": "C5H7NO2", "method": "ωB97M-V/def2-TZVPD", "lumo_energy_ev": [-0.39, -0.17], "homo_energy_ev": [-6.43, -7.05], "de_lowest_kj_mol": 630.41, "charge": 0, "energy_ha": -399.72545, "orbital_gap_ev": [6.04, 6.89], "elements": ["C", "C", "C", "C", "C", "O", "O", "N", "H", "H", "H", "H", "H", "H", "H"], "xyz": [[-0.947, 0.383, 0.625], [-0.485, -0.907, 0.350], [1.094, -0.192, 0.016], [-1.032, -2.077, 0.025], [1.570, -0.140, -1.265], [0.140, 2.357, -0.020], [-2.124, 0.831, 1.052], [0.185, 1.089, 0.615], [0.889, 2.835, 0.361], [-2.044, 1.771, 1.280], [1.786, -0.457, 0.810], [-2.093, -2.173, -0.174], [-0.416, -2.961, -0.087], [0.941, 0.193, -2.079], [2.538, -0.553, -1.509]]}

(3)
-- stop --

* "'Cause I'm the god of destruction, that's why!" - Susano Orbatos,Orion * 
*               Michael Surbrook /                * 
*            Attacked Mystification Police / AD Police / ESWAT            *
* Society for Creative Anachronism / House ap Gwystl / Company of St.Mark *